Please do not read this if you are not interested in my answer to Goat Abuser's last post directed towards me.
Goat Perverted
At least as a troll you are are trying, but it still lacks the finesse for the amusement, and it will only get you the Dumbfuck tag and perhaps also me, if i continue to answer to you. But because of my Humanistic ideals i will answer this, so you may make yourself some thoughts about some things, and this answer is also for other people, who confuse science with other things like philosphy.
Your used (flawed) definition of art and therefore your (flawed) approach:
Art as somekinda REDUCTION where you basicaly take a thing and reduce it to its most essential elements, because this thing it cant really be expressed any other way...
This specifies an irreducible artifact or set of certain attributes, which can be a kind of art (minimalism may be a good example), but it
is not the only one kind of art. Especially if we take the surrealism and realism (art of painting) into a consideration. By your definition Mona Lisa is not art, because certain parts are reducible. Even the wikipedia has defined it much better, than the definition you are using. Please read it. I will now state now that the art lies in the eye of the beholder, and is as a subjective interpretation of aesthetics, but a certain attribute is required for calling it art: the human agency.
The definition of science is much more complicated to explain, but i will try:
Science is the systematic pursuit of knowledge (study) of the nature and behavior of the observable universe, by using the scientific method, with observation, experiment and measurement. Its goals is to formulate laws and theories to describe the processes and objects of the observable universe.
The scientific Method is a toolkit of techniques for investigating and describing the observed phenomena, which are based on empirical measurements and evidence, to correct previous knowledge and to reduce systematically the errors in experiments and analysis.
This Tools are based on statistics, mathematics, logic and previous observations / experience.
From Observations and Assumptions we develop a Hypothesis, which is tested by an experiment, from which we gather Data for a analysis. This analysis let us draw a Conclusion by which we update our Hypothesis. This is the Scientific Method as the cycle, which should lead to a Theory.
To condense this statement: Science is only made with the scientific method and the scientific method is mathematics. Or as Roger Bacon stated in Opus maius:
1) "Et harum scientiarum porta et clavis est Mathematica" Translated: Mathematics is the door and key to the sciences.
2) He who is ignorant of this [mathematics] cannot know the other sciences nor the affairs of this world.
3) If in other sciences we should arrive at certainty without doubt and truth without error, it behooves us to place the foundations of knowledge in mathematics, in so far as disposed through it we are able to reach certainty in other sciences and truth by the exclusion of error.
The Quintessence is in science used only in as a reference to Aether (the fifth element), of as a hypothetical form of dark energy as a reference to the fifth element.
Further the essence is philosopical sense as a definition to a set of necessary attributes that make an entity or substance, and without this attributes it will loses its identity. Therefore it cannot be further reduced or decomposed and still retain its identity.
### These crystal structures were left in the text by mistake
~~~
Simulated X-ray powder pattern
Compound: Ca2MnNb2O8
Radiation: Cu Kα X-rays
Structure: a cell relaxed with GGA+U
Neutral-atom scattering factors, no anomalous dispersion.

Peak list (12 most intense, 15 to 90 degrees two-theta, in order of rising 2θ)
| h k l | 2θ/deg | d (Å) | intensity |
| --- | --- | --- | --- |
| 4 0 0 | 18.3 | 4.843 | 25 |
| 3 1 0 | 19.6 | 4.523 | 38 |
| 5 1 0 | 27.0 | 3.306 | 65 |
| 5 1 -1 | 31.1 | 2.874 | 100 |
| 5 1 1 | 31.9 | 2.806 | 79 |
| 0 0 2 | 32.3 | 2.772 | 58 |
| 0 2 1 | 32.5 | 2.751 | 77 |
| 4 2 1 | 37.9 | 2.376 | 30 |
| 5 1 2 | 43.1 | 2.097 | 26 |
| 5 3 0 | 49.1 | 1.854 | 60 |
| 5 1 -3 | 56.4 | 1.632 | 26 |
| 0 2 3 | 57.8 | 1.596 | 60 |

Structure:
Unit cell a=19.382 b=6.337 c=5.547 alpha=90.00 beta=91.81 gamma=90.00
Space group C2/c (No. 15)
One atom of each set of equivalent atoms:
1 Ca 0.210 0.187 0.243 [8 per cell]
2 Mn 0.000 0.147 0.250 [4 per cell]
3 Nb 0.113 0.346 0.758 [8 per cell]
4 O 0.058 0.149 0.592 [8 per cell]
5 O 0.073 0.375 0.090 [8 per cell]
6 O 0.184 0.439 0.512 [8 per cell]
7 O 0.185 0.146 0.847 [8 per cell]


Record 1
The following is a simulated powder X-ray diffraction pattern of Ag3AsSe3. It was derived from a DFT-relaxed cell (PBE, the Materials Project), using Cu Kα.
Lines closer than 0.1° are merged.

Peak list (10 most intense, 2θ from 10° to 80°, low angle first)
- 25.60°, intensity 46
- 26.95°, intensity 64
- 30.61°, intensity 100
- 32.83°, intensity 92
- 33.96°, intensity 51
- 37.98°, intensity 41
- 44.28°, intensity 56
- 45.90°, intensity 25
- 47.60°, intensity 24
- 51.43°, intensity 36

Structural model:
Cell lengths 7.309, 7.309, 7.309 Å; angles 103.29, 103.29, 103.29 degrees
Atoms (fractional coordinates):
Ag  0.071  0.292  0.638
Ag  0.138  0.792  0.571
Ag  0.292  0.638  0.071
Ag  0.571  0.138  0.792
Ag  0.638  0.071  0.292
Ag  0.792  0.571  0.138
As  0.048  0.048  0.048
As  0.548  0.548  0.548
Se  0.275  0.959  0.294
Se  0.294  0.275  0.959
Se  0.459  0.775  0.794
Se  0.775  0.794  0.459
Se  0.794  0.459  0.775
Se  0.959  0.294  0.275

***

Record 2
The following is a simulated powder X-ray diffraction pattern of MnIrN2. It was derived from a DFT-relaxed cell (PBE, the Materials Project), using Cu Kα.
Lines closer than 0.1° are merged.

Peak list (10 most intense, 2θ from 10° to 80°, low angle first)
- 21.71°, intensity 86
- 22.18°, intensity 25
- 32.71°, intensity 32
- 33.99°, intensity 57
- 36.99°, intensity 100
- 39.29°, intensity 46
- 41.78°, intensity 24
- 45.53°, intensity 20
- 58.02°, intensity 24
- 62.81°, intensity 20

Structural model:
Cell lengths 5.093, 6.494, 5.275 Å; angles 90.00, 90.00, 90.00 degrees
Atoms (fractional coordinates):
Mn  0.123  0.155  0.000
Mn  0.377  0.655  0.500
Mn  0.623  0.345  0.000
Mn  0.877  0.845  0.500
Ir  0.069  0.661  0.918
Ir  0.431  0.161  0.418
Ir  0.569  0.839  0.918
Ir  0.931  0.339  0.418
N  0.059  0.636  0.316
N  0.066  0.061  0.348
N  0.434  0.561  0.848
N  0.441  0.136  0.816
N  0.559  0.864  0.316
N  0.566  0.439  0.348
~~~
Philosophie is not science. A scientist makes philosophy, but a philosophy is not necessary a scientist. (I know how much philosophy has contributed to development of modern science.) Gary Edwards has made a good video about philosophy and science on youtube if you have some interest in a view of how philosophy stands towards science. But else the essences is never used in any scientific conjunction, it has fallen out of use with the development of modern chemistry, pharmacy and physics.
With this knowledge and the definitions we may conclude that art cannot be defined and examined by the sciences or better said with the scientific method. Naturally we can use scientific tools to determine certain attributes like colors, chemistry, age, and etc. But this attributes are not essential to art.
To use the word "essence":
We don't know what the essences (set of necessary attributes) of art is and it cannot be defined and examined by the scientific method, if art depends of an observer perception of what art is. If someone shits into a bottle and calls this art, and i call it shit in a bottle and certainly not art, then there is a contradiction, which depends on observer. This contradictionary case negates the necessary objectivity attribute of science. Science is always objective, in opposite to art which is subjective. If you know what objective means, than it is clear to you.
Attention "Bold" statement:
The game narrative and the game elements or the game narrative may be also art.
Conclusion of your previous statement:
Therefore there is no PURE ESSENCE EXTRACTION towards what art / game narrative and elements are and it is not a scientific term, it is a philosophical term.
The reduction onto some simple mechanics would kill the art of the game. Where the developer try show us in high detail the world and living in Bohemia in the medieval times, and where they try to involve the player by focusing his attention on his current actions, in every aspect of living in this game.
For every example where you can state that a high degree of detail was not good and the abstraction degree was not high enough, i can say an other example, where a more complex mechanic brought more fun to the game.
Any statement that you have made concerning Warhorse and KCD are nonsense or assumptions without any real substance, and if you want some more simple game mechanics in a RPG without involvement, then F:3 or Skyrim is good for you.
Case for crafting with minigame:
In Everquest 2 the crafting mechanics are also a minigame and this is one of the most crafting mechanisms with the most fun for me. But perhaps not for you.
Reduction and game narrative:
You example was: If MEAT AND FIRE AND CLICK -> COOKED MEAT. Why dont we reduce the FIRE? Why not a simple found MEAT equals COOKED MEAT if the only factor necessary for cooking MEAT is a FIRE, and FIRE has no other real purpose then cooking. But if there are other food sources like FRUITS and BREAD, why do we not draw a further abstraction towards simple FOOD, and if the sources have different factors for the "calories" then why not simply have FOOD CALORIES? As you see we can reduce all this things toward only a String and an Integer. But in the process the art / game narrative and elements lose their expanded meaning.
Now to your case of Maximum Risk and 2001:
This is highly subjective, therefore you may call Maximum Risk trailer art and i will call it shit, like i would state 2001 is art and you call it boring. Then we may argue what is shit and why, but this is a matter of taste, therefore not objective.
About the two Strauss (es) ('Also sprach Zarathustra' (Richard) and 'An der schönen blauen Donau' (Johann)) and 2001. Without Elite probably you would not even know this. But i think that Lux Aeterana by Gyögry Ligeti had much more impact and meaning in this master piece.
Also i much more prefered Requiem for Soprano, Mezzo-Soprano by György Ligeti in it's context in the film.
Your statement about Kubrick was too much, if you would not made this then you would pass just as a simpleton. But this clearly indicates a Troll, that is fishing and i am the fish.
To your "More about KCD":
Quote: He rides a horse from point A to B for 3 fucking minutes.Thats 280 seconds of wasting my goddamn time.
Darkzone answer: Then do not waste your time playing this game. Or mine by making post like you did, that is directed at me. And i have wasted about 2 hours for making this the right response, so that may make yourself some right thoughts about what your are saying.